Listing
a:
13
Properties=species:S:1:pos:R:3:nbo_charge:R:1 method="wB97M-V/def2-TZVPD" lumo_energy_ev=0.5 gap_ha=0.363 total_charge=0
N 0.00361 -0.92041 -0.14984 -0.62
C -1.35991 -0.94294 -0.18245 0.29
H -0.31503 1.27480 1.25394 0.21
F -0.40732 1.61408 -0.69443 -0.37
H 1.17290 2.04332 0.38655 0.20
C 0.94433 -0.00134 -0.09209 0.38
C 0.36681 1.20069 0.35944 -0.02
N 2.22879 -0.26226 -0.04443 -0.67
H 0.59425 -1.82630 -0.17378 0.40
H -1.93421 1.08030 0.23439 0.40
N -2.16073 -0.00724 0.16952 -0.70
H 2.55307 -1.20621 -0.48194 0.34
H -1.68654 -2.04649 -0.58486 0.18

b:
13
Properties=species:S:1:pos:R:3:nbo_charge:R:1 method="wB97M-V/def2-TZVPD" lumo_energy_ev=1.0 gap_ha=0.333 total_charge=0
H 0.96866 1.89239 0.00020 0.38
C -0.86783 1.16367 -0.12212 -0.12
H -0.08211 -1.91505 0.19650 0.22
N 1.66173 -0.29215 -0.67527 -0.72
H 2.38188 -0.92192 -0.32237 0.38
H 0.97224 -0.57672 -1.41773 0.35
C -1.35980 -0.07607 -0.00033 0.28
H -0.52022 -1.10361 1.74459 0.21
N 0.33117 1.30742 0.49167 -0.45
F -2.50801 -0.56847 -0.46872 -0.31
H -1.56140 2.02034 -0.55340 0.23
N 0.90402 0.00760 0.53092 -0.12
C -0.32033 -0.93742 0.59606 -0.32

c:
13
Properties=species:S:1:pos:R:3:nbo_charge:R:1 method="wB97M-V/def2-TZVPD" lumo_energy_ev=0.8 gap_ha=0.341 total_charge=0
N -2.34633 -0.18950 0.04105 -0.40
H -2.37762 1.50930 -0.70432 0.35
H -1.59648 1.40802 0.57313 0.35
H 0.95005 -1.79580 -0.10831 0.15
C 2.30659 -0.30057 0.32462 0.16
C 1.09639 -0.73439 -0.10554 -0.06
N -2.48067 1.10310 0.12523 -0.61
H 3.09194 -0.96976 0.42240 0.17
F 2.82657 0.97901 -0.08648 -0.37
N -0.13403 -0.18109 -0.27538 -0.57
C -1.19913 -0.84449 -0.07126 0.31
H -2.90857 -0.74091 0.53283 0.36
H -1.09432 -2.07292 -0.06058 0.15

Verdict on stability: a comes out on top.

a:
22
Properties=species:S:1:pos:R:3:mulliken_spin:R:1 method="wB97M-V/def2-TZVPD" lumo_energy_ev="1.0 / 0.9" gap_ha="0.174 / 0.379" multiplicity=2 total_charge=0
H 1.54604 2.66287 0.62953 0.00
H -1.57678 0.07723 -1.67236 0.00
C 1.07788 1.75936 0.99793 -0.01
H -0.77260 -2.89597 -3.16471 -0.45
C -1.11537 -1.99299 -1.30525 0.62
C -0.69352 -0.55538 -1.62705 0.06
H 2.65003 2.75861 2.88926 0.00
C 0.17240 1.18229 -0.02390 -0.01
H -2.34984 -2.33977 -2.99502 -0.44
N -1.55134 -2.78279 -2.47658 1.70
H -0.27433 -2.48699 -0.81781 -0.09
C 0.21823 -0.03266 -0.55540 0.00
H -1.72844 -3.78554 -2.19098 -0.59
C 0.95746 1.56958 2.30389 0.00
H -0.65860 1.82266 -0.32087 0.00
C 1.72773 2.37334 3.30420 0.00
H 1.11452 3.17614 3.73156 0.00
H -0.27197 -0.47445 -2.63710 -0.03
H 2.00275 1.81370 4.19484 0.00
H -1.91906 -1.94070 -0.57460 0.23
H 1.08821 -0.65740 -0.35630 0.01
H 0.35659 0.74885 2.66672 0.00

b:
22
Properties=species:S:1:pos:R:3:mulliken_spin:R:1 method="wB97M-V/def2-TZVPD" lumo_energy_ev="1.1 / -0.1" gap_ha="0.305 / 0.331" multiplicity=2 total_charge=0
C -0.06060 1.28351 0.40953 0.04
H 2.43574 -0.79718 0.45387 -0.01
H -0.89188 1.34224 1.11658 0.00
H -0.12788 0.63581 -2.31625 0.00
H -2.27088 -1.61117 0.69361 -0.01
N 0.14011 1.57466 -2.05887 0.00
H -1.63774 -1.85566 2.26823 -0.01
C -1.55681 -1.19096 1.40783 0.01
H 2.35085 0.73147 -0.37733 0.00
H -0.46558 3.11010 -0.81306 0.00
C 1.85003 -0.23027 -0.26661 0.01
C 0.40886 -0.11548 0.17197 0.40
C -0.58346 2.03118 -0.86793 0.04
H -1.87248 -0.20660 1.73867 0.00
H -1.65916 1.81608 -0.88421 -0.01
H -0.04444 -3.43127 1.05384 0.00
H 1.20858 -2.71678 0.04468 0.02
H 2.05699 -0.75287 -1.20703 0.02
H 0.70405 1.91417 0.86199 0.01
C 0.32096 -2.50229 0.63898 0.50
C -0.18858 -1.23457 0.72991 -0.04
H -0.11669 2.20587 -2.79842 0.00

Verdict on stability: b comes out on top.

a:
80
Properties=species:S:1:pos:R:3:mulliken_charge:R:1 method="wB97M-V/def2-TZVPD" lumo_energy_ev=-6.6 gap_ha=0.256 total_charge=+2
H 1.51230 -0.75548 3.62325 0.41
C 2.94810 -4.14979 -1.13872 -0.84
H -4.90767 -5.18103 0.12701 0.45
C -2.01472 2.11355 -0.57805 -0.17
Hf -0.08586 -1.44002 0.81875 0.06
C 2.96261 -0.78898 1.37157 -1.51
C 0.69181 2.25875 1.32583 0.74
C 0.37076 -3.98503 2.22134 0.25
H 4.15343 3.16247 -1.61146 0.56
C 3.27821 2.60433 -1.28430 -1.66

Assignment
Restate only the last part of the contents earlier on, starting with the line that has "0.379".

Worked solution
Properties=species:S:1:pos:R:3:mulliken_spin:R:1 method="wB97M-V/def2-TZVPD" lumo_energy_ev="1.0 / 0.9" gap_ha="0.174 / 0.379" multiplicity=2 total_charge=0
H 1.54604 2.66287 0.62953 0.00
H -1.57678 0.07723 -1.67236 0.00
C 1.07788 1.75936 0.99793 -0.01
H -0.77260 -2.89597 -3.16471 -0.45
C -1.11537 -1.99299 -1.30525 0.62
C -0.69352 -0.55538 -1.62705 0.06
H 2.65003 2.75861 2.88926 0.00
C 0.17240 1.18229 -0.02390 -0.01
H -2.34984 -2.33977 -2.99502 -0.44
N -1.55134 -2.78279 -2.47658 1.70
H -0.27433 -2.48699 -0.81781 -0.09
C 0.21823 -0.03266 -0.55540 0.00
H -1.72844 -3.78554 -2.19098 -0.59
C 0.95746 1.56958 2.30389 0.00
H -0.65860 1.82266 -0.32087 0.00
C 1.72773 2.37334 3.30420 0.00
H 1.11452 3.17614 3.73156 0.00
H -0.27197 -0.47445 -2.63710 -0.03
H 2.00275 1.81370 4.19484 0.00
H -1.91906 -1.94070 -0.57460 0.23
H 1.08821 -0.65740 -0.35630 0.01
H 0.35659 0.74885 2.66672 0.00

b:
22
Properties=species:S:1:pos:R:3:mulliken_spin:R:1 method="wB97M-V/def2-TZVPD" lumo_energy_ev="1.1 / -0.1" gap_ha="0.305 / 0.331" multiplicity=2 total_charge=0
C -0.06060 1.28351 0.40953 0.04
H 2.43574 -0.79718 0.45387 -0.01
H -0.89188 1.34224 1.11658 0.00
H -0.12788 0.63581 -2.31625 0.00
H -2.27088 -1.61117 0.69361 -0.01
N 0.14011 1.57466 -2.05887 0.00
H -1.63774 -1.85566 2.26823 -0.01
C -1.55681 -1.19096 1.40783 0.01
H 2.35085 0.73147 -0.37733 0.00
H -0.46558 3.11010 -0.81306 0.00
C 1.85003 -0.23027 -0.26661 0.01
C 0.40886 -0.11548 0.17197 0.40
C -0.58346 2.03118 -0.86793 0.04
H -1.87248 -0.20660 1.73867 0.00
H -1.65916 1.81608 -0.88421 -0.01
H -0.04444 -3.43127 1.05384 0.00
H 1.20858 -2.71678 0.04468 0.02
H 2.05699 -0.75287 -1.20703 0.02
H 0.70405 1.91417 0.86199 0.01
C 0.32096 -2.50229 0.63898 0.50
C -0.18858 -1.23457 0.72991 -0.04
H -0.11669 2.20587 -2.79842 0.00

Verdict on stability: b comes out on top.

a:
80
Properties=species:S:1:pos:R:3:mulliken_charge:R:1 method="wB97M-V/def2-TZVPD" lumo_energy_ev=-6.6 gap_ha=0.256 total_charge=+2
H 1.51230 -0.75548 3.62325 0.41
C 2.94810 -4.14979 -1.13872 -0.84
H -4.90767 -5.18103 0.12701 0.45
C -2.01472 2.11355 -0.57805 -0.17
Hf -0.08586 -1.44002 0.81875 0.06
C 2.96261 -0.78898 1.37157 -1.51
C 0.69181 2.25875 1.32583 0.74
C 0.37076 -3.98503 2.22134 0.25
H 4.15343 3.16247 -1.61146 0.56
C 3.27821 2.60433 -1.28430 -1.66